Handling Data Imbalance and G×E Interactions in On-Farm Trials Using Bayesian Hierarchical Models

Bayesian joint-regression analysis of unbalanced series of on-farm trials
Recommendation: posted 08 November 2024, validated 08 November 2024
Donnet, S. (2024) Handling Data Imbalance and G×E Interactions in On-Farm Trials Using Bayesian Hierarchical Models. Peer Community in Mathematical and Computational Biology, 100272. 10.24072/pci.mcb.100272
The article, "Bayesian Joint-Regression Analysis of Unbalanced Series of On-Farm Trials," presents a Bayesian statistical framework tailored for analyzing highly unbalanced datasets from participatory plant breeding (PPB) trials, specifically wheat trials. The key goal of this research is to address the challenges of genotype-environment (G×E) interactions in on-farm trials, which often have limited replication and varied testing conditions across farms.
The study applies a hierarchical Bayesian model with Finlay-Wilkinson regression, which improves the estimation of G×E effects despite substantial data imbalance. By incorporating a Student’s t-distribution for residuals, the model is more robust to extreme values, which are common in on-farm trials due to variable environments. Note that the model allows a detailed breakdown of variance, identifying environment effects as the most significant contributors, thus highlighting areas for future breeding focus. Using Hamiltonian Monte Carlo methods, the study achieves reasonable computation times, even for large datasets.
Obviously, the limitation of the methods comes from the level of data balance and replication. The method requires a minimum level of data balance and replication, which can be a challenge in very decentralized breeding networks Moreover, the Bayesian framework, though computationally feasible, may still be complex for widespread adoption without computational resources or statistical expertise.
The paper presents a sophisticated Bayesian framework specifically designed to tackle the challenges of unbalanced data in participatory plant breeding (PPB). It showcases a novel way to manage the variability in on-farm trials, a common issue in decentralized breeding programs.
This study's methods accommodate the inconsistencies inherent in on-farm trials, such as extreme values and minimal replication. By using a hierarchical Bayesian approach with a Student’s t-distribution for robustness, it provides a model that maintains precision despite these real-world challenges. This makes it especially relevant for those working in unpredictable agricultural settings or decentralized trials. From a more general perspective, this paper’s findings support breeding methods that prioritize specific adaptation to local conditions. It is particularly useful for researchers and practitioners interested in breeding for agroecological or organic farming systems, where G×E interactions are critical but hard to capture in traditional trial setups.
Beyond agriculture, the paper serves as an excellent example of advanced statistical modeling in highly variable datasets. Its applications extend to any field where data is incomplete or irregular, offering a clear case for hierarchical Bayesian methods to achieve reliable results.
Finally, although begin quite methodological, the paper provides practical insights into how breeders and researchers can work with farmers to achieve meaningful varietal evaluations.
### Misplaced records of crystals
No. 1
Structure and calculated powder diffractogram of K2TlFeF6 (a cell relaxed with GGA+U; CuKα).
Lines closer than 0.1° are merged.

Cell and atoms:
Cell lengths 6.483, 6.483, 6.483 Å; angles 60.00, 60.00, 60.00 degrees
Fractional positions:
K (0.250, 0.250, 0.250)
K (0.750, 0.750, 0.750)
Tl (0.000, 0.000, 0.000)
Fe (0.500, 0.500, 0.500)
F (0.286, 0.286, 0.714)
F (0.286, 0.714, 0.286)
F (0.286, 0.714, 0.714)
F (0.714, 0.286, 0.286)
F (0.714, 0.286, 0.714)
F (0.714, 0.714, 0.286)

Top 12 peaks for 2θ from 10° to 90°, by angle:
2theta	intensity
16.75	26.3
19.36	59.0
27.52	100.0
32.39	29.5
39.31	39.2
43.00	20.5
44.18	25.2
48.65	37.7
56.80	23.1
60.60	12.1
64.25	20.3
77.99	21.5

=====

No. 2
Structure and calculated powder diffractogram of Li2FeF6 (a cell relaxed with GGA+U; CuKα).
Lines closer than 0.1° are merged.

Cell and atoms:
Cell lengths 8.761, 8.761, 4.508 Å; angles 90.70, 90.70, 59.35 degrees
Fractional positions:
Li (0.151, 0.849, 0.000)
Li (0.159, 0.493, 0.995)
Li (0.493, 0.159, 0.995)
Li (0.507, 0.841, 0.005)
Li (0.841, 0.507, 0.005)
Li (0.849, 0.151, 0.000)
Fe (0.167, 0.167, 0.494)
Fe (0.500, 0.500, 0.000)
Fe (0.833, 0.833, 0.506)
F (0.038, 0.727, 0.270)
F (0.062, 0.062, 0.242)
F (0.063, 0.372, 0.254)
F (0.272, 0.272, 0.745)
F (0.273, 0.962, 0.730)
F (0.292, 0.606, 0.781)
F (0.372, 0.063, 0.254)
F (0.394, 0.708, 0.219)
F (0.397, 0.397, 0.217)
F (0.603, 0.603, 0.783)
F (0.606, 0.292, 0.781)
F (0.628, 0.937, 0.746)
F (0.708, 0.394, 0.219)
F (0.727, 0.038, 0.270)
F (0.728, 0.728, 0.255)
F (0.937, 0.628, 0.746)
F (0.938, 0.938, 0.758)
F (0.962, 0.273, 0.730)

Top 12 peaks for 2θ from 10° to 90°, by angle:
2theta	intensity
20.28	100.0
20.47	49.8
22.79	20.1
22.92	34.1
23.06	53.6
31.01	19.8
37.38	18.3
41.03	64.6
41.25	30.5
54.51	19.8
54.90	32.8
63.75	23.9

=====

No. 3
Structure and calculated powder diffractogram of LiFe2F5 (a cell relaxed with GGA+U; CuKα).
Lines closer than 0.1° are merged.

Cell and atoms:
Cell lengths 8.855, 8.858, 5.884 Å; angles 90.00, 90.00, 90.00 degrees
Fractional positions:
Li (0.234, 0.229, 0.000)
Li (0.266, 0.729, 0.500)
Li (0.734, 0.271, 0.500)
Li (0.766, 0.771, 0.000)
Fe (0.000, 0.000, 0.287)
Fe (0.000, 0.000, 0.713)
Fe (0.133, 0.371, 0.500)
Fe (0.367, 0.871, 0.000)
Fe (0.500, 0.500, 0.213)
Fe (0.500, 0.500, 0.787)
Fe (0.633, 0.129, 0.000)
Fe (0.867, 0.629, 0.500)
F (0.106, 0.596, 0.500)
F (0.112, 0.208, 0.259)
F (0.112, 0.208, 0.741)
F (0.137, 0.927, 0.000)
F (0.169, 0.919, 0.500)
F (0.331, 0.419, 0.000)
F (0.363, 0.427, 0.500)
F (0.388, 0.708, 0.241)
F (0.388, 0.708, 0.759)
F (0.394, 0.096, 0.000)
F (0.606, 0.904, 0.000)
F (0.612, 0.292, 0.241)
F (0.612, 0.292, 0.759)
F (0.637, 0.573, 0.500)
F (0.669, 0.581, 0.000)
F (0.831, 0.081, 0.500)
F (0.863, 0.073, 0.000)
F (0.888, 0.792, 0.259)
F (0.888, 0.792, 0.741)
F (0.894, 0.404, 0.500)

Top 12 peaks for 2θ from 10° to 90°, by angle:
2theta	intensity
14.14	61.2
18.10	100.0
20.05	25.4
22.45	44.4
31.96	32.8
33.66	40.7
33.97	17.2
36.65	20.1
38.10	23.3
44.93	18.6
Michel Turbet Delof , Pierre Rivière , Julie C Dawson, Arnaud Gauffreteau , Isabelle Goldringer , Gaëlle van Frank , Olivier David (2024) Bayesian joint-regression analysis of unbalanced series of on-farm trials. HAL, ver.2 peer-reviewed and recommended by PCI Math Comp Biol https://hal.science/hal-04380787
- - -
Diffraction record for Mn2CoS5. The powder X-ray diffraction pattern is simulated, not measured: it uses a structure optimized by DFT (GGA-PBE) and copper Kα.

Cell and atoms:
abc: 8.3086 6.3870 6.0991
angles: 83.40 49.78 46.82
Fractional coordinates of all 8 atoms:
Mn 0.1898 0.1898 0.8102
Mn 0.8102 0.8102 0.1898
Co 0.5000 0.5000 0.5000
S 0.0000 0.0000 0.0000
S 0.2245 0.4674 0.5326
S 0.4674 0.2245 0.7755
S 0.5326 0.7755 0.2245
S 0.7755 0.5326 0.4674

Principal peaks in the range 2θ from 10° to 90°, in order of rising 2θ:
2θ (°)	I_rel
15.49	100
38.90	37
42.72	17
43.63	11
45.14	10
45.71	13
48.00	6
50.73	18
62.71	7
63.89	6

=====

Li4Mn8O13F3: simulated powder diffraction line list (Cu Kα X-rays), based on a crystal structure in the Materials Project, relaxed with GGA+U.

Structure:
```
data_Li4Mn8O13F3
_chemical_formula_sum 'Li4 Mn8 O13 F3'
_space_group_name_H-M_alt 'P 1'
_space_group_IT_number 1
_space_group_name_Hall 'P 1'
_cell_length_a 5.950
_cell_length_b 5.952
_cell_length_c 10.385
_cell_angle_alpha 92.32
_cell_angle_beta 104.96
_cell_angle_gamma 118.47
loop_
_atom_site_label
_atom_site_type_symbol
_atom_site_fract_x
_atom_site_fract_y
_atom_site_fract_z
Li1 Li 0.000 0.000 0.000
Li2 Li 0.001 0.503 0.500
Li3 Li 0.205 0.183 0.386
Li4 Li 0.215 0.672 0.882
Mn1 Mn 0.103 0.594 0.192
Mn2 Mn 0.113 0.108 0.698
Mn3 Mn 0.595 0.350 0.940
Mn4 Mn 0.596 0.591 0.699
Mn5 Mn 0.602 0.590 0.193
Mn6 Mn 0.604 0.094 0.692
Mn7 Mn 0.605 0.092 0.191
Mn8 Mn 0.606 0.838 0.443
O1 O 0.340 0.464 0.805
O2 O 0.351 0.745 0.091
O3 O 0.363 0.019 0.811
O4 O 0.366 0.517 0.309
O5 O 0.368 0.229 0.592
O6 O 0.413 0.239 0.078
O7 O 0.413 0.732 0.574
O8 O 0.794 0.943 0.309
O9 O 0.798 0.455 0.811
O10 O 0.839 0.669 0.078
O11 O 0.845 0.953 0.790
O12 O 0.846 0.164 0.573
O13 O 0.858 0.440 0.294
F1 F 0.344 0.986 0.327
F2 F 0.870 0.202 0.061
F3 F 0.872 0.707 0.568
```

Main lines, in order of rising 2θ (2θ = 15–90°):
| Position (°2θ) | d [Å] | Rel. int. | hkl |
| --- | --- | --- | --- |
| 17.9 | 4.962 | 100 | 0 1 -1 |
| 18.0 | 4.923 | 53 | 0 0 2 |
| 18.6 | 4.771 | 51 | -1 1 1 |
| 34.7 | 2.586 | 42 | 2 -1 1 |
| 35.0 | 2.566 | 21 | 2 0 -2 |
| 35.2 | 2.550 | 20 | 1 0 -4 |
| 42.2 | 2.141 | 41 | 2 -2 2 |
| 42.8 | 2.114 | 78 | 0 2 2 |
| 60.8 | 1.522 | 37 | 0 2 -6 |
| 62.5 | 1.486 | 21 | 2 -4 0 |

Mn3OF5: simulated powder diffraction line list (Cu Kα X-rays), based on a crystal structure in the Materials Project, relaxed with GGA+U.

Structure:
```
data_Mn3OF5
_chemical_formula_sum 'Mn12 O4 F20'
_space_group_name_H-M_alt 'C 1 2/m 1'
_space_group_IT_number 12
_space_group_name_Hall '-C 2y'
_cell_length_a 6.784
_cell_length_b 7.005
_cell_length_c 9.788
_cell_angle_alpha 90.00
_cell_angle_beta 90.58
_cell_angle_gamma 90.00
loop_
_atom_site_label
_atom_site_type_symbol
_atom_site_fract_x
_atom_site_fract_y
_atom_site_fract_z
Mn1 Mn 0.000 0.000 0.000
Mn2 Mn 0.000 0.500 0.500
Mn3 Mn 0.004 0.000 0.323
Mn4 Mn 0.032 0.500 0.837
O1 O 0.174 0.000 0.156
F1 F 0.000 0.297 0.000
F2 F 0.011 0.304 0.668
- - -
The text goes on.
The recommender in charge of the evaluation of the article and the reviewers declared that they have no conflict of interest (as defined in the code of conduct of PCI) with the authors or with the content of the article. The authors declared that they comply with the PCI rule of having no financial conflicts of interest in relation to the content of the article.
M. Turbet Delof was funded by Program PPR-CPA MoBiDiv (2021–2026) under grant agreement ANR-20 PCPA-0006 and INRAE (program on organic scaling METABIO and Biologie et Amélioration des Plantes departement).
Reviewed by Pierre Druilhet
, 04 Nov 2024
The revised version of the document clearly and satisfactorily addresses the points raised in the first submission (I agree with the variance calculation). I therefore have no objection to its publication.
Reviewed by David Makowski
, 17 Oct 2024
The authors have satisfactorily addressed my comments.
Evaluation round #1
DOI or URL of the preprint: https://hal.science/hal-04380787
Version of the preprint: 1
Author's Reply, 03 Oct 2024
Decision by Sophie Donnet
, posted 20 Jun 2024, validated 21 Jun 2024
This paper aims to show that advanced modeling and Bayesian inference can be used to estimate the joint effects of environment and genotype from participatory plant breeding data. These programs, which involve volunteer farmers, make it possible to acquire a large volume of data, but according to unbalanced and uncontrolled experimental designs. Among other things, the authors propose to move away from the linear Gaussian model by using residuals distributed according to a Student's law.
The two reviewers underline the interest of the subject and the quality of the work, but raise a number of questions that may require considerable work.
Consequently, I consider this preprint worthy of revision before recommendation.
Reviewed by Pierre Druilhet
, 21 May 2024
The authors compare several models to estimate main effects and stability of genotype effects. Data are collected over a 12-year period and on several OA farms. This is a non-randomized trial since the farmer chose the germoplasms to be tested in they own farm. A control gerplams is common to all the farm.
Overall, the article is well-written and interesting. Here are a few comments:
1) l.160. It is not clear to the reader which variable is used as the blocking variable: the farm or some spatial or temporal variables or other blocking variables.
2) l. 216 : Is there any point in using a truncated normal distribution for $\epsilon$ rather than a usual Gamma or inverse-Gamma distribution?
3) l.216-217 : A Gamma distribution is chosen for \eta with the constraint \eta>2. Such a constraint generally reduces the efficiency of the MCMC used for inference. An alternative might be to use the parameter \eta=2+\eta' where \eta' is Gamma-distributed.
4) l.267 : I don't get the same variance decomposition since the second and third terms are not independent (given the hyperpriors). They may change the interpretation of the results.
Reviewed by David Makowski
, 16 Jun 2024
The paper addresses an interesting topic concerning participatory plant breeding. It aims at comparing various Bayesian models for analyzing data collected in a highly unbalanced designs with a high share of missing data. I found the paper interesting but I had a lot of difficulties to understand what were the precise objectives of the on-farm trials analyzed by the authors. They didn’t explain clearly enough what were the objectives of the genotype selection they aimed to perform with their on-farm trials. In addition, the description of the data is quite unclear and it is difficult to understand the different types of designs included in the datasets, and how this diversity could be properly handled. Moreover, some aspects of the modelling framework are not fully justified. In particular, I don’t understand why your Bayesian models would be more suitable to analyze unbalanced data obtained in non-randomized experiments than other types of models. I don’t see why your models would solve the issues related to the high level of heterogeneity of your datasets.
L17-20: The results presented in the abstract are qualitative. More quantitative results would be useful. In particular, it is unclear whether the results of the proposed model were accurate enough to be used in practice.
## Inserted here: calculated crystals
____________
Entry 1:
K3LaBi2Te6: calculated powder X-ray diffraction pattern (copper Kα), based on DFT lattice parameters and positions (GGA-PBE).
Lines closer than 0.1° are merged.

Most intense lines, 10 to 90 degrees two-theta, in order of falling intensity:
h k l  d/Å  I_rel
1 3 1  3.372  100
0 0 1  8.292  47
0 6 0  2.317  38
2 0 2  2.458  36
4 0 0  1.910  20
1 3 2  2.661  19
4 6 0  1.474  17
3 3 3  1.545  13
0 6 1  2.232  12
2 0 3  1.970  12

a b c (Å): 8.0251 13.9043 8.7133
angles (deg): 90.00 107.90 90.00
Space group C2/m (No. 12)
One atom of each set of equivalent atoms:
K 0.0000 0.0000 0.0000 (multiplicity 2)
K 0.0000 0.3330 0.0000 (multiplicity 4)
La 0.0000 0.5000 0.5000 (multiplicity 2)
Bi 0.0000 0.1667 0.5000 (multiplicity 4)
Te 0.2310 0.0000 0.7134 (multiplicity 4)
Te 0.2411 0.3298 0.7129 (multiplicity 8)


Entry 2:
K5LiBi2: calculated powder X-ray diffraction pattern (copper Kα), based on DFT lattice parameters and positions (GGA-PBE).
Lines closer than 0.1° are merged.

Most intense lines, 10 to 90 degrees two-theta, in order of falling intensity:
h k l  d/Å  I_rel
1 1 0  3.100  100
1 1 4  2.669  74
1 0 5  3.312  67
1 0 1  5.202  63
1 0 3  4.263  62
0 0 4  5.259  53
1 1 8  2.004  45
0 0 8  2.624  42
1 0 0  5.369  33
2 1 5  1.828  24

a b c (Å): 6.1997 6.1997 21.0375
angles (deg): 90.00 90.00 120.00
Space group P6_3/mmc (No. 194)
One atom of each set of equivalent atoms:
K 0.0000 0.0000 0.1370 (multiplicity 4)
K 0.3333 0.6667 0.0512 (multiplicity 4)
K 0.3333 0.6667 0.2500 (multiplicity 2)
Li 0.3333 0.6667 0.7500 (multiplicity 2)
Bi 0.3333 0.6667 0.6221 (multiplicity 4)


Entry 3:
K2LiBi2: calculated powder X-ray diffraction pattern (copper Kα), based on DFT lattice parameters and positions (GGA-PBE).
Lines closer than 0.1° are merged.

Most intense lines, 10 to 90 degrees two-theta, in order of falling intensity:
h k l  d/Å  I_rel
2 1 1  3.000  100
0 0 1  5.828  46
2 1 0  3.500  32
1 1 0  5.533  25
2 1 2  2.239  21
0 0 2  2.914  21
2 1 3  1.698  19
3 1 0  2.475  16
5 2 1  1.410  16
3 1 2  1.886  15

a b c (Å): 7.8252 7.8252 5.8276
angles (deg): 90.00 90.00 90.00
Space group P4/mbm (No. 127)
One atom of each set of equivalent atoms:
K 0.1649 0.3351 0.0000 (multiplicity 4)
Li 0.0000 0.0000 0.5000 (multiplicity 2)
Bi 0.1407 0.6407 0.5000 (multiplicity 4)


Entry 4:
KLi2Bi2O6: calculated powder X-ray diffraction pattern (copper Kα), based on DFT lattice parameters and positions (GGA-PBE).
Lines closer than 0.1° are merged.

Most intense lines, 10 to 90 degrees two-theta, in order of falling intensity:
h k l  d/Å  I_rel
1 0 0  5.253  100
1 1 -1  2.573  28
0 1 -1  3.091  25
0 2 1  2.826  25
1 1 2  2.993  24
2 1 2  2.444  21
1 2 1  2.903  19
0 1 1  4.729  17
1 0 1  4.340  17
0 1 0  5.210  16

a b c (Å): 5.7413 5.9621 6.0653
angles (deg): 62.10 67.72 72.58
Space group P-1 (No. 2)
One atom of each set of equivalent atoms:
K 0.0000 0.0000 0.0000 (multiplicity 1)
Li 0.4964 0.6526 0.2720 (multiplicity 2)
Bi 0.0396 0.3242 0.3199 (multiplicity 2)
____________
L17-20: Because of the use of an unbalanced design and of the lack of randomization, there is a risk of bias that may lead to errors in the ranking of the cultivars. I would be useful to reflect on this aspect in the abstract.
L20: « mixtures ». Do you mean « genotype mixtures » ? Risk of confusion with "mixtures of probability distributions ».
L30: Unclear (environments always depend on pedoclimatic conditions, weathers etc.). I guess you mean that crops may be impacted by a greater diversity of limiting factors in OA than in conventional agriculture.
L41-42: this is true only if we are able to test a large number of G in a large number of E. Otherwise, it does not allow you to estimate G x E, or for a very limited of G only. In addition, randomized trials are often more difficult to conduct on farms. The benefit is thus uncertain.
L54, 58, 65: the term « populations » is not clear. Maybe you mean « non-hybrid genotype » but I am not sure. This needs to be clarified in order to allow non-specialists to undertand.
L66: « as very few populations were present »: this appears to be in contradiction with the sentence « a large number of populations was evaluated » (L58). Moreover, for a non-specialist, it is not fully clear what is the difference between a genotype and a germ plasm.
L67-68: « genotype main effect and stability ». Unclear. Need to be explained. In fact, the concrete objective of the network of trials is unclear.
How do you want to use the data to select genotypes?
What are the criteria relevant for the assessment of the genotypes?
Do you want to select one genotype in each farm or select one cultivar for a group of farms sharing similar E?
L72-77: in this description, it is unclear what are the fixed parameters. Although, only some of the random parameters are listed, making you text hard to follow. In particular, it is not clear how the genotype sensitivities are defined. Do they correspond to genotype-specific random environmental effects (i.e., random GxE interactions). Definitions are provided much later in the paper, but this is not an optimal way to organize your paper.
Section 2.2.1: I don’t understand what designs were used in the categories Regional, Statellite and unreplicated shown in Table 2.
Table 2: what is the difference between "a farm" and "an environment"?
161: « obvious outliers were excluded ». Define « obvious ».
The models are presented in section 2.3. The models look quite standard, with main effects and interactions. It is difficult to understand why these models are able to analyze on-farm trials with unbalanced and missing data.
In 2.3.1, based on the equations, « static stable » corresponds to absence of environmental effect, while « dynamic stable » corresponds to absence of interactions, but this is not how the authors presented these two types of stability in the text.
189: "Finlay and Wilkinson (1963) defined their coefficient as ». Which coefficients?
The model FWs is not based on a hierarchical structure. I don’t understand what assumptions are made on the parameters in this model. Did you assume a specific parameter value for each germplasm and environment? What were the priors? This needs to be clarify.
2.3.2. Residual terms. The different types of designs included in your dataset are so different that it is unlikely that they could share the same residual variance. However, this is the assumption made in your models; you used a unique residual variance for all designs.
2.3.5. The use of leave-one-out cross validation is not fully justified as the data are not independent, in particular the data collected in the same environments are correlated.
2.3.6. Variance decomposition. I guess this decomposition is not valid for the model FWs. Please clarify.
L223: Here as well, because of the heterogenetity of the designs included in your dataset, it is unlikely that the between-germplasm and between-trial variances are the same for all types of trials.
281-283: Here, you define static and dynamic stability. But these definitions should be provided much earlier, the first time you are using these concepts.
290: why are they approximations? What would be their exact expressions?
L292-294: It is unconsistent to use frequentist statistical tests while your analysis is based on Bayesian models. You could use your Bayesian inference to derive credibility intervals for all quantities of interest.
3.1.1. This is interesting but, as mentioned above, the LOO CV does not seem well adapted to the clustering nature of your dataset.
3.2. The title is very general and could be applied to any part of the paper.
I found the results on the student distributions interesting, especially because they seem able to handle extreme data, but I am wondering why the authors only considered student and gaussian distributions and not others.
It was difficult to see how the models could be used in practice and how their use would change the practical recommandations made to farmers.